
Figure 1. Dark and narrow, 100 meter-long streaks called recurring slope lines flowing downhill on Mars are inferred to have been formed by flowing water. Image Credit: NASA
In the 63 years since the commencement of the space race, how have advances in space exploration and a myriad of space missions—both successful and unsuccessful—lead us to an understanding of the origins and locations of water outside the realm of this world that we call home? We plan to study space missions throughout history, focusing on their influence and contributions towards the search for water in our solar system. By studying the space missions that have been carried out to date, we are able to identify the influence they have had on the current and future research done by scientists.
Importance of Research
The contributions made by previous missions have led to the continuing development of new technology which has helped researchers make advancements in the discovery of water in the solar system. Water has become an important theme of exploration for astronomers as a possible and necessary resource of life and a substance with geological interest. The research currently being done also provides information on the existence of water on Earth which is suggested to have come from comets that crashed into the planet. Scientists have also found that in space, Hydrogen and Oxygen exist separately, created from the Big Bang and nuclear reactions in stars, and only meet in the cold climate of space to form water. Space exploration has led us to not only understand water within the context of our solar system but also gave clues that may help in the continued search for water elsewhere.

Figure 2. NASA announced the discovery of a super-Earth planet, containing water, found deep in space. Image Credit: GETTY
I. The Origins of Water in our Universe
It is well known that a water molecule is made up of two hydrogen atoms and one oxygen. What is not so well understood is where these elements come from in the first place and how they came together to give water as we now know it. Let us first start with hydrogen. It has become widely accepted that the universe as we know it began with a bang, the Big Bang. That is not to say that one cosmic event gave us the universe as we see it today, but rather that the Big Bang was the starting point for the cosmic timeline. Following the Big Bang, the universe was essentially a very hot, very dark soup of plasma composed of protons, neutrons, and electrons. It wasn’t until about 380 000 years after the big bang that the universe cooled enough to allow electrons to come together with nuclei to form neutral elements, like hydrogen.1 Still no water. After another 400 million years of development, the stars were born–and with them–carbon-12 which burned to neon, producing oxygen-16. These stars eventually died and over the next 200 million years, this material was shot into our universe.2 With this, we have the two things needed for water to form.

Figure 3. This image is captured through NASA’s Spitzer Space Telescope and shows a dying star throwing a cosmic tantrum. Credit: NASA
With the discovery of the distant quasar APM 08279+5255 and the enormous cloud of water surrounding it, it has been determined that water in our universe has been present in some form or another for at least 12 billion years.3 However, it wasn’t until about 9.3 billion years after the Big Bang that water began to make its way to our blue planet. It is proposed that 9.2 billion years after the Big Bang, our solar system began to build from clouds of recycled star material carrying with them, among other things, complex molecules like water.2 Space telescopes like Hubble have looked towards the Helix Nebula and Great Orion Nebula, and found water in their ejected atmospheres, reinforcing the idea that the origins of our oceans are in the stars.4 Hubble has since found water elsewhere in our solar system, such as on Jupiter’s moon Europa.5 Most recently Hubble has found vast amounts of water vapour in the broader universe in the atmosphere of exoplanet WASP-39b.6 With this understanding that water exists in various forms throughout the universe and our solar system, it begs the question of how it made its way to Earth. It is suggested that the water in our oceans was delivered after Earth’s formation. We don’t have a definitive answer for how this occurred yet, but the most widely accepted hypothesis is that water was delivered in the form of ice frozen to asteroids that collided with Earth in its infancy.7
II. The First Time that we Found Extraterrestrial Water
On the Moon –
As the closest celestial object to Earth, the Moon has always been an important object of study for scientists. After the early moon landings through the Apollo program, many other space missions like Clementine (USAF/NASA), Lunar Prospector (NASA), SMART-1 (ESA), Kaguya (Japan), Chang’e missions (China), Chandrayaan-1 (India), Lunar Reconnaissance Orbiter (NASA), etc. were launched for further lunar exploration. In 2008, the Indian Space Research Program launched Chandrayaan-1 with the key focus to search for evidence of water on Moon, to understand the origin of the moon from mineral and chemical composition studies, and to detect the presence of atomic species in the thin atmosphere of the Moon. The mission carried technologies from various different international partners such as the USA and Bulgaria. The data found through Chandrayaan-1 shows evidence of water in the exosphere, surface, and sub-surfaces of the Moon. Through the Moon Impact Probe, south polar region of the Moon was found to host volatiles like water. The Moon Mineralogy Mapper (M3) showed the presence of water on the sunlit side using water and ice spectral signatures.8 In 2009, NASA crashed a part of the Kaguya Spacecraft into a crater on the south pole region of the Moon and found signatures associated with water ice and hydroxyl, a highly reactive molecule associated with water. In 2010, international scientists looked closely at collected moon rocks and found a mineral called apatite in water.9 This allowed scientists to reexamine Apollo samples to look for signs of water-bearing beads found from volcanic deposits.
More recently, water in the form of ice has been found on the Moon’s surface based on data from NASA’s Moon Mineralology Mapper (M3) which identified three signatures that prove the existence of water in the form of ice on the surface of the moon.10 Additionally, NASA’s Lunar Crater Observation and Sensing Satellite (LCORSS) has collected impact data that hints at the existence of water beneath the surface of the Moon.11

Figure 4. This image shows the distribution of surface water-ice at the southern polar region of the Moon (left) and northern polar region (right). Credit: NASA
On Mars –
As one of the closest planets to Earth that shows similar characteristics, Mars is being explored further to help scientists better understand our solar system and planet. On July 31st, 2008, NASA’s Phoenix Mars Lander confirmed the presence of water ice on Mars. The space mission was launched to study the history of water in the Martian arctic and search for evidence of a habitable zone. The lander touchdown on Mars’ polar region and observed the Martian ice, soil, and atmosphere by collecting soil samples containing ice. During the mission, Phoenix also documented snow falling from clouds on Mars. A sample of snow containing the mineral, Calcium carbonate, was found, giving scientists important clues about the history of liquid water on Mars. Currently, further exploration is being continued in hopes of finding better evidence to explain the history of Mars and how it became a desert wasteland.12

Figure 5. Water ice found on the southern pole of Mars, such as these, have been stopped from their migration by a cap of dry ice. Image source: ESA
III. What has Guided our Search
As population on Earth soars and science continues to push the envelope, one of the broad themes of space exploration has been to contemplate the idea of the next frontier for humanity to conquer. For example, Mars exploration has rested on four pillars, two being the search for life and preparation for human exploration–both believed to be impossible or unfeasible without liquid water.13 On the other hand, some researchers are looking for data to develop and hone theories. Common to both these camps has been the search for water, either to justify its existence here or to guide them in the search for life elsewhere. Regardless of the motive, the mission is daunting. The search for anything in space is analogous to a needle in a haystack, where no matter the size of what you are looking for, the needle is infinitely small in relation to the infinitely large haystack that is space. To guide their search for water, scientists need to start somewhere. They rely on clues provided throughout history, identifying signatures common to much of the water already discovered and broadening their search in hopes that they will come across one.
The first set of signatures fit into the category of visual observations, and missions concerning Mars present perhaps the best collection of these. The easiest of these signs to visualize is the presence of polar ice caps like those found on Mars in the 1700s with early telescopes.14 With regards to liquid water, the discovery of recurring slope lines by NASA’s Mars Reconnaissance Orbiter in 2011 suggested that in the spring and summer liquid water may seep from the steep faces of some Martian slopes as seen in Figure 6.15 16 There is however suggestions that this may be little more than seeping sand due to the fact that the Reconnaissance Orbiter has only been able to spot them on the steepest slopes with inclines steep enough for dry particles to descend.17 Further research by the Mars Rovers is likely going to be the deciding factor in which hypothesis “holds water”.

Figure 6. A GIF visualization of recurring slope lines at Horowitz Crater on Mars, Image Source: Wikimedia
The second set of clues guiding the search for water are a bit more intangible. Space telescopes like Hubble look to the cosmos using sophisticated tools like the Cosmic Origins Spectrograph to separate emitted light into its component colours. This allows for a compositional “fingerprint” of the object being observed.18 This method of observation has been key to the discovery of atmospheric water vapour on exoplanets such as WASP-39b.6 These space-based technologies continue to guide scientists through current and future space exploration.
IV. Life Looking for Life
In our search for life, we start by looking at our one and only example, Earth. We look for other places that are similar to our own. This has lead to the idea of the Habitable Zone. The habitable zone is the place for a planet that is not too far and too cold from its local star and is also not too close to be too hot. The habitable zone is defined as the particular zone or range of distance around a star in which we may find liquid water pooling on a planet’s surface.19 An example of a planet in the habitable zone is the planet Kepler-452b which is 1.6 times larger than Earth and is in the habitable zone of a sun-like star.20

Figure 7. Planet Kepler-452 B is the first near- Earth size world to be found in the habitable zone of a star that is similar to the sun. Image Credit: Wikipedia
Why do we associate the search for water with the search for life? The reason for this is that when using Earth as an example, we see that “almost everywhere there is water, there is life [, and w]hether the water is boiling hot or frozen, some sort of creature seems to thrive in it.”21 We ask the question if it is like that here, are other planets the same?21 To the best of our knowledge, water is required for life. Without water, there is no life. It transports materials and molecular machinery to the places in the living organism that are required to allow for the chemical reactions essential for life. Water also carries nutrients and removes any waste. Without it, life as we know it, would quickly die.22
V. What are we Finding?

Figure 8. Image of Jupiter’s icy moon, Europa, taken by NASA’s Galileo spacecraft in the late 1990s. Image Credit: NASA
Over time, we have continued to find a number of places with water, not all of it is liquid. Notably, the moons of other planets have been found to hold water. Through NASA’s Cassini’s numerous gravity measurements of Saturn’s moon, Titan, it has been shown that beneath its surface was hidden liquid water and ammonia ocean.23 Just like Titan, Jupiter’s moon Europa has a water-ice surface. It is thought that a 60-150 km deep ocean of salty water lies below a layer of ice that is probably between 15 and 25 kilometers thick. From 1995 to 2003, NASA’s Galileo spacecraft made numerous flybys of Europa while exploring the Jupiter system. In these flybys, it found pit and domes–suggesting that Europa’s surface ice may be slowly turning over due to convection caused by the heat below. Hubble, in 2013, found evidence of water plumes erupting off Europa’s surface as well.24 Using the imaging spectrograph provided by Hubble, faint ultraviolet light was seen in an aurora that Jupiter’s magnetic field powered near Europa’s southern pole.25 This was a sign that there are products of water molecules that are “being broken apart by electrons along magnetic field lines.”25 Later, while using Hubble, scientists observed Europa passing in front of Jupiter. Over a 15 month time, this passing was viewed 10 times. In these 10 times, there were 3 occasions where plumes could be seen erupting from Europa.26
Furthermore, beneath the ice crust of Saturn’s moon, Enceladus is a global ocean according to research using data from NASA’s Cassini mission. Cassini’s data was previously analyzed and the Enceladus was suggested to have a sea or body of water shaped like a lens and beneath Enceladus’ South polar region. Although now, with the gravity data collected during Cassini’s several close passes over the south polar region, it has lead to support the possibility that the sea is global. This was confirmed by results derived from analyzing over seven years of images taken by Cassini. In these images, a tiny wobble called a libration was found as it orbits Saturn. This information was then plugged into different models of how Enceladus’ interior might be arranged.27

Figure 9. Image of the interior region of Saturn’s moon Enceladus shows a global liquid water ocean between its rocky core and icy crust. Image Credit: NASA
VI. Who is Funding this and what is next?

Figure 10. NASA designed CubeSat, built and operated to produce a map of the water resources on the Moon for future space exploration. Image Credit: ASU SpaceTRE
Governments are often times the biggest investors in space exploration missions. Global expenditures have grown over the years in leading countries investing more and more. By 2027, it is estimated that global space budgets will grow over $20 billion. Recently, private sectors such as start-ups to large companies are also increasingly seeking to leverage partnerships with space agencies. Today, transportation is the largest expenditure area reaching nearly $7.7 billion supported by multiple countries to support the development of next-generation crew and cargo vehicles. Moon exploration is said to experience sustained growth and will budget around $2.8 billion by 2027 to support government missions and partnership programs. Mars exploration budgets reach $1.4 billion in 2017 and are expected to reach $1.8 billion.28 Mostly all early planet related exploration missions have been dedicated to Mars. The increase in budgets for all space missions is mainly due to the future missions and technology being developed, like ExoMars Rover and Mars 2020, are set to travel across the Martian surface to search for signs of extraterrestrial life by collecting samples of water ice and soil and analyzing them with next-generation instruments.29

## Materials data from another source follow
~~~
A plane-wave DFT calculation with PBE was carried out for a geometry-optimized Li3BS3 structure.

Space-group type: Pnma
ΔH_f (0 K) (kJ per mole of atoms): -120.9
Final energy (Ry per atom): -0.337

Unit cell a=6.2024 b=8.1892 c=10.1519 alpha=90.00 beta=90.00 gamma=90.00
Closest atoms and distances in Å follow each position.
Fractional positions:
Li (0.6062, 0.6685, 0.9907)  4 S 2.46-2.52
Li (0.1062, 0.8315, 0.0093)  4 S 2.46-2.52
Li (0.8938, 0.1685, 0.5093)  4 S 2.46-2.52
Li (0.3938, 0.3315, 0.4907)  4 S 2.46-2.52
Li (0.3938, 0.3315, 0.0093)  4 S 2.46-2.52
Li (0.8938, 0.1685, 0.9907)  4 S 2.46-2.52
Li (0.1062, 0.8315, 0.4907)  4 S 2.46-2.52
Li (0.6062, 0.6685, 0.5093)  4 S 2.46-2.52
Li (0.5469, 0.9953, 0.7500)  4 S 2.49-2.50
Li (0.0469, 0.5047, 0.2500)  4 S 2.49-2.50
Li (0.9531, 0.4953, 0.7500)  4 S 2.49-2.50
Li (0.4531, 0.0047, 0.2500)  4 S 2.49-2.50
B (0.8832, 0.8796, 0.2500)  3 S 1.83
B (0.3832, 0.6204, 0.7500)  3 S 1.83
B (0.6168, 0.3796, 0.2500)  3 S 1.83
B (0.1168, 0.1204, 0.7500)  3 S 1.83
S (0.7430, 0.9200, 0.0943)  1 B 1.83
S (0.2430, 0.5800, 0.9057)  1 B 1.83
S (0.7570, 0.4200, 0.4057)  1 B 1.83
S (0.2570, 0.0800, 0.5943)  1 B 1.83
S (0.2570, 0.0800, 0.9057)  1 B 1.83
S (0.7570, 0.4200, 0.0943)  1 B 1.83
S (0.2430, 0.5800, 0.5943)  1 B 1.83
S (0.7430, 0.9200, 0.4057)  1 B 1.83
S (0.8416, 0.2025, 0.7500)  1 B 1.83
S (0.3416, 0.2975, 0.2500)  1 B 1.83
S (0.6584, 0.7025, 0.7500)  1 B 1.83
S (0.1584, 0.7975, 0.2500)  1 B 1.83

=====

1.
This record from the Materials Project describes crystalline LiYS2 at its relaxed geometry. The functional is r²SCAN.

Properties
Total energy, eV per atom: -11.81
ΔE_f, eV/f.u.: -8.469
V, A^3/atom: 20.27

Lattice parameters (Å, degrees): 3.9069 3.9069 18.4045 90.00 90.00 120.00
Last column: nearest neighbours and their distance in Å.
Space group R-3m (No. 166, hexagonal axes)
Symmetry-distinct sites (fractional):
Li 0.0000 0.0000 0.0000 x3  6 S 2.72
Y 0.0000 0.0000 0.5000 x3  6 S 2.73
S 0.0000 0.0000 0.2504 x6  3 Li 2.72, 3 Y 2.73

2.
This record from the Materials Project describes crystalline Yb2GaNi2 at its relaxed geometry. The functional is r²SCAN.

Properties
Total energy, eV per atom: -22.33
ΔE_f, eV/f.u.: -3.204
V, A^3/atom: 17.30

Lattice parameters (Å, degrees): 4.1231 5.2431 8.0006 90.00 90.00 90.00
Last column: nearest neighbours and their distance in Å.
Space group Immm (No. 71)
Symmetry-distinct sites (fractional):
Yb 0.0000 0.0000 0.2014 x4  6 Ni 2.77-2.89, 2 Ga 3.08
Ga 0.0000 0.5000 0.0000 x2  4 Ni 2.49
Ni 0.0000 0.2671 0.5000 x4  1 Ni 2.44, 2 Ga 2.49

3.
This record from the Materials Project describes crystalline CsVI3 at its relaxed geometry. The functional is r²SCAN.

Properties
Total energy, eV per atom: -23.82
ΔE_f, eV/f.u.: -6.222
V, A^3/atom: 40.79

Lattice parameters (Å, degrees): 8.2311 8.2311 6.9511 90.00 90.00 120.00
Last column: nearest neighbours and their distance in Å.
Space group P6_3/mmc (No. 194)
Symmetry-distinct sites (fractional):
~~~
## Here the text continues

Figure 11. A Quasar or feeding black hole found in space that carries huge amounts of water vapour. Image Credit: List 25
Water has continued to be an important theme of space exploration for astronomers as a possible and necessary resource of life. Through our knowledge of water and how it is composed here on Earth, it can aid scientists in understanding where water may be within the universe. Throughout space exploration, we have found water in a number of places within the solar system, while not always in liquid form, many of the different forms of water have been ice, leading scientists to believe that it may have been liquid at one point in time. Within the 63 years since the commencement of the space race, there have been numerous advances in space exploration and a myriad space missions, leading us to a greater understanding of the origins and locations of water outside of our home planet, Earth.
- D. Chow. The Universe: Big Bang to Now in 10 Easy Steps. (Accessed 2 March, 2019)
- M. Francl. Nature Chemistry 8, 897 (2016)
- C. M. Bradford, A. D. Bolatto, P. R. Maloney, J. E. Aguirre, J. J. Bock, J. Glenn, J. Kamenetzky, R. Lupu, H. Matsuhara, E. J. Murphy, B. J. Naylor, H. T. Nguyen, K. Scott, and J. Zmuidzinas. The Astrophysical Journal Letters 741 (2011)
- NASA. Ocean Worlds: Water in the Solar System and Beyond. (Accessed 2 March 2019)
- NASA. NASA’s Hubble Spots Possible Water Plumes Erupting on Jupiter’s Moon Europa. (Accessed 2 March 2019)
- HUBBLESITE. NASA Finds a Large Amount of Water in an Exoplanet’s Atmosphere. (Accessed 2 March 2019)
- B. Greene Smithsonian Magazine. How did water come to Earth? (Accessed 3 March 2019)
- National Geographic. Water found deep inside the Moon. (Accessed 3 March 2019)
- Indian Space Research Organisation. Water on the Moon. (Accessed 3 March 2019)
- Tavares. Ice Confirmed at the moon’s poles. (Accessed 27 February 2019)
- NASA. LCROSS Impact Data Indicates Water on Moon. (Accessed 27 February 2019)
- NASA. First Discovery of Water on Mars. (Accessed 3 March 2019)
- NASA. Why do we care about water on Mars?. (Accessed 4 March 2019)
- NASA. All about Mars: History-The 1700s (Accessed 4 March 2019)
- NASA. NASA Spacecraft Data Suggests Water Flowing on Mars. (accessed 4 March, 2019)
- Wikimedia Commons. Warm Season flows on slope in Horowitz Crater. (Accessed 4 March, 2019)
- NASA Mars Exploration Program Recurring Martian Streaks: Flowing Sand, Not Water? (Accessed 4 March, 2019)
- HUBBLESITE. Hubble Essentials. (Accessed 4 March 2019)
- NASA. Warm welcome: finding habitable planets. (Accessed 3 March 2019)
- NASA. Life Signs: Looking for life in all the right places. (Accessed 3 March 2019)
- NASA. Why do we care about water on Mars? (Accessed 4 March 2019)
- NASA. Water: The Molecule of Life. (Accessed 13 March 2019)
- NASA. Cassini: Titan. (Accessed 27 February 2019)
- NASA. Europa: In Depth. (Accessed 27 February 2019)
- NASA. Hubble Space Telescope Sees Evidence of Water Vapor Venting off Jovian Moon (Accessed 13 March)
- NASA. NASA’s Hubble Spots Possible Water Plumes Erupting on Jupiter’s Moon Europa. (Accessed 8 March 2019)
- NASA. Cassini Finds Global Ocean in Saturn’s Moon Enceladus. (Accessed 28 February 2019)
- SpaceRef. Government Funding in Space Exploration to Surpass $20 Billion by 2027
- NASA. Missions to Mars. (Accessed 3 March 2019)